Title 45--Public Welfare

Attached: calculated crystals
'''
[1]
Material: Ti2ZnO4
Method: DFT, PBE
State: relaxed

Cell and atoms, written as extended XYZ:
```
56
Lattice="2.980 5.355 0.000 -2.980 5.355 0.000 0.000 3.830 19.716" Properties=species:S:1:pos:R:3 pbc="T T T"
Zn 0.000 7.282 9.818
O 1.433 8.115 11.145
Ti -1.570 6.403 12.320
Ti -1.610 8.197 7.319
Ti 1.570 6.403 12.320
Ti 0.000 7.456 19.179
O 0.000 7.256 13.557
O -1.456 6.443 8.541
O 1.495 6.373 16.060
O 1.553 6.103 1.232
Ti 0.000 3.692 10.548
Ti 1.617 9.996 17.365
O 0.000 12.705 13.516
Ti 0.000 7.264 4.352
Ti -1.617 9.996 17.365
Zn 0.000 10.836 14.857
Ti 0.000 10.840 9.120
O 0.000 10.843 18.328
O 1.531 8.132 3.671
O -1.540 8.288 18.483
Zn 0.000 7.223 0.627
Ti 1.421 4.501 2.514
O 0.000 9.109 16.104
O 1.385 4.456 6.172
Ti 0.000 3.794 14.145
O 0.000 1.956 6.117
Ti 0.000 7.333 15.455
O -1.385 4.456 6.172
O -1.531 8.132 3.671
O 1.540 8.288 18.483
O 0.000 5.519 11.159
O 0.000 5.694 18.579
O 1.440 10.060 13.506
O 0.000 5.494 3.740
O 0.000 9.105 1.289
O -1.440 10.060 13.506
Zn 0.000 12.611 17.285
O 0.000 3.571 1.341
Zn 0.000 1.716 2.420
O 0.000 3.786 16.057
O 0.000 7.303 6.241
O 1.456 6.443 8.541
Ti 1.610 8.197 7.319
O -1.553 6.103 1.232
Ti 0.000 3.677 4.833
O 0.000 3.624 8.645
O 0.000 10.666 3.553
O -1.495 6.373 16.060
Zn 0.000 9.068 12.330
Ti -1.421 4.501 2.514
O 0.000 9.022 8.532
Zn 0.000 5.507 7.332
O -1.433 8.115 11.145
Zn 0.000 10.788 5.515
O 0.000 10.906 11.027
Ti 0.000 3.876 19.658
```

Computed properties:
ΔE to the lowest computed polymorph (eV/atom): 0.093



[2]
Material: Ba3Te4O11
Method: DFT, PBE
State: relaxed

Cell and atoms, written as extended XYZ:
```
36
Lattice="-2.615 7.619 1.243 -6.461 -5.255 4.795 8.171 -2.147 5.807" Properties=species:S:1:pos:R:3 pbc="T T T"
O 0.111 3.639 6.734
Ba -0.929 -1.824 10.718
O 3.675 -1.619 6.719
O -1.761 0.806 10.695
O 5.458 0.666 6.071
O 2.729 3.517 7.920
Te -0.118 -5.569 8.399
O -1.016 -3.422 5.111
Te 4.497 -0.085 7.511
O -2.247 1.187 2.574
O 1.342 -0.970 9.271
O -3.633 -3.300 3.925
O 0.857 -0.589 1.150
Te 1.974 1.174 4.609
O -1.306 -1.536 8.060
O -2.132 1.405 7.932
Ba -1.813 2.277 5.240
O -4.580 1.835 5.126
Te -5.402 0.302 4.334
O 0.401 1.752 3.784
Te -2.732 -4.170 5.328
Te -2.879 -0.958 7.236
Te -0.787 5.786 3.446
O -3.506 -2.791 6.665
Te 1.827 4.386 6.517
O -2.219 -0.418 5.556
O 1.314 0.634 6.289
Ba 0.909 -2.061 6.604
O -2.034 4.377 3.303
O 1.129 -4.160 8.542
O -6.363 -0.450 5.774
Ba 0.024 2.040 1.126
Ba 0.652 1.636 8.681
Ba -1.557 -1.419 3.163
O 1.227 -1.188 3.913
O 2.602 3.007 5.180
```



The records above give, respectively, DFT formation energy values of -2.77, -2.24 eV/atom.
The records above give, respectively, DFT total energy values of -7.645, -5.858 eV/atom.
The records above give, respectively, volume values of 11.24, 19.66 Å³ per atom.
'''


TEXT PDF96.1 Scope.
TEXT PDF96.2 Definitions.
TEXT PDF96.3 Information collection approval numbers.
TEXT PDF96.10 Prerequisites to obtain block grant funds.
TEXT PDF96.11 Basis of award to the States.
TEXT PDF96.12 Grant payment.
TEXT PDF96.13 Reallotments.
TEXT PDF96.14 Time period for obligation and expenditure of grant funds.
TEXT PDF96.15 Waivers.
TEXT PDF96.16 Applicability of title XVII of the Reconciliation Act (31 U.S.C. 7301-7305).
TEXT PDF96.17 Annual reporting requirements.
TEXT PDF96.30 Fiscal and administrative requirements.
TEXT PDF96.31 Audits.
TEXT PDF96.32 Financial settlement.
TEXT PDF96.33 Referral of cases to the Inspector General.
TEXT PDF96.40 Scope.
TEXT PDF96.41 General determination.
TEXT PDF96.42 General procedures and requirements.
TEXT PDF96.43 Procedures during FY 1982.
TEXT PDF96.44 Community services.
TEXT PDF96.45 Preventive health and health services.
TEXT PDF96.46 Substance abuse prevention and treatment services.
TEXT PDF96.47 Primary care.
TEXT PDF96.48 Low-income home energy assistance.
TEXT PDF96.50 Complaints.
TEXT PDF96.51 Hearings.
TEXT PDF96.52 Appeals.
TEXT PDF96.60 Scope.
TEXT PDF96.61 Initiation of hearing.
TEXT PDF96.62 Presiding officer.
TEXT PDF96.63 Communications to presiding officer.
TEXT PDF96.64 Intervention.
TEXT PDF96.65 Discovery.
TEXT PDF96.66 Hearing procedure.
TEXT PDF96.67 Right to counsel.
TEXT PDF96.68 Administrative record of a hearing.
TEXT PDF96.70 Scope.
TEXT PDF96.71 Definitions.
TEXT PDF96.72 Transferability of funds.
TEXT PDF96.73 Sterilization.
TEXT PDF96.74 Annual reporting requirements.
TEXT PDF96.80 Scope.
TEXT PDF96.81 Reallotment report.
TEXT PDF96.82 Required report.
TEXT PDF96.83 Increase in maximum amount that may be used for weatherization and other energy-related home repair.
-- begin --
[1]
Pr3Ge6Pt4 | r2SCAN | relaxed

Computed properties:
E in eV per formula unit: -390.41
M_tot in μB/atom: 0.000
DFT formation energy in meV per atom: -1001
Volume in Å³ per atom: 19.94

The structure in POSCAR format:
```
Pr3Ge6Pt4
1.0
4.4449 0.0000 0.0000
0.0000 8.8668 0.0000
0.0000 0.0000 26.3033
Ge Pt Pr
24 16 12
direct
0.7500 0.8773 0.9985 Ge
0.2500 0.5235 0.7153 Ge
0.7500 0.0235 0.7847 Ge
0.7500 0.3739 0.6406 Ge
0.7500 0.1261 0.1406 Ge
0.7500 0.6252 0.1378 Ge
0.2500 0.8739 0.8594 Ge
0.7500 0.7265 0.7850 Ge
0.2500 0.9765 0.2153 Ge
0.2500 0.1252 0.3622 Ge
0.2500 0.1227 0.0015 Ge
0.2500 0.6274 0.9980 Ge
0.2500 0.3748 0.8622 Ge
0.2500 0.2735 0.2150 Ge
0.7500 0.3726 0.0020 Ge
0.7500 0.4765 0.2847 Ge
0.2500 0.6261 0.3594 Ge
0.7500 0.8748 0.6378 Ge
0.2500 0.2265 0.7150 Ge
0.7500 0.1274 0.5020 Ge
0.2500 0.3773 0.5015 Ge
0.2500 0.8726 0.4980 Ge
0.7500 0.7735 0.2850 Ge
0.7500 0.6227 0.4985 Ge
0.2500 0.1282 0.4571 Pt
0.2500 0.8734 0.3126 Pt
0.7500 0.6223 0.6872 Pt
0.2500 0.6266 0.8126 Pt
0.7500 0.1220 0.0475 Pt
0.2500 0.3718 0.9571 Pt
0.7500 0.3734 0.1874 Pt
0.7500 0.1266 0.6874 Pt
0.7500 0.8718 0.5429 Pt
0.2500 0.6220 0.4525 Pt
0.2500 0.3777 0.3128 Pt
0.2500 0.1223 0.8128 Pt
0.7500 0.6282 0.0429 Pt
0.7500 0.3780 0.5475 Pt
0.2500 0.8780 0.9525 Pt
0.7500 0.8777 0.1872 Pt
0.2500 0.6253 0.2203 Pr
0.7500 0.1333 0.9075 Pr
0.2500 0.8747 0.7203 Pr
0.7500 0.3667 0.4075 Pr
0.7500 0.8845 0.4079 Pr
0.2500 0.6333 0.5925 Pr
0.7500 0.3747 0.7797 Pr
0.2500 0.3845 0.0921 Pr
0.7500 0.1253 0.2797 Pr
0.7500 0.6155 0.9079 Pr
0.2500 0.8667 0.0925 Pr
0.2500 0.1155 0.5921 Pr
```

=====

[2]
Ta4MnS8 | r2SCAN | relaxed

Computed properties:
E in eV per formula unit: -289.64
M_tot in μB/atom: 0.316
DFT formation energy in meV per atom: -1255
Volume in Å³ per atom: 18.68

The structure in POSCAR format:
```
Ta4MnS8
1.0
3.3409 -5.7866 0.0000
3.3409 5.7866 0.0000
0.0000 0.0000 12.5582
S Ta Mn
16 8 2
direct
0.6667 0.3333 0.6228 S
0.8315 0.6630 0.3728 S
0.8315 0.6629 0.1270 S
0.1685 0.3371 0.8730 S
0.1685 0.8315 0.6271 S
0.3333 0.6667 0.3772 S
0.6630 0.8315 0.6271 S
0.3371 0.1685 0.1270 S
0.6629 0.8315 0.8730 S
0.3370 0.1685 0.3728 S
0.6667 0.3333 0.8774 S
0.3333 0.6667 0.1226 S
0.8315 0.1685 0.3728 S
0.1685 0.8315 0.8730 S
0.8315 0.1685 0.1270 S
0.1685 0.3370 0.6271 S
0.5067 0.0133 0.7501 Ta
0.4933 0.9867 0.2499 Ta
0.9867 0.4933 0.7501 Ta
0.0000 0.0000 0.2499 Ta
0.4933 0.5067 0.2499 Ta
0.0133 0.5067 0.2499 Ta
0.5067 0.4933 0.7501 Ta
0.0000 0.0000 0.7501 Ta
0.0000 0.0000 0.5000 Mn
0.0000 0.0000 0.0000 Mn
```

=====

[3]
DyScSb | r2SCAN | relaxed

Computed properties:
E in eV per formula unit: -72.04
M_tot in μB/atom: 0.116
DFT formation energy in meV per atom: -985
Volume in Å³ per atom: 25.62

The structure in POSCAR format:
```
DyScSb
1.0
4.3337 0.0000 0.0000
0.0000 4.3337 0.0000
0.0000 0.0000 8.1857
Dy Sb Sc
2 2 2
direct
0.7500 0.7500 0.6511 Dy
0.2500 0.2500 0.3489 Dy
0.2500 0.2500 0.7336 Sb
0.7500 0.7500 0.2664 Sb
0.7500 0.2500 0.0000 Sc
0.2500 0.7500 0.0000 Sc
```

=====

[4]
-- stop --
== So much for the materials data ==
TEXT PDF96.84 Miscellaneous.
TEXT PDF96.85 Income eligibility.
TEXT PDF96.86 Exemption from requirement for additional outreach and intake services.
TEXT PDF96.87 Leveraging incentive program.
TEXT PDF96.88 Administrative costs.
TEXT PDF96.89 Exemption from standards for providing energy crisis intervention assistance.
TEXT PDF96.90 Scope.
TEXT PDF96.91 Audit requirement.
== Attached: calculated crystals ==
____________
Entry 1:
{"formula": "KMgScMo2O8", "functional": "GGA+U", "state": "relaxed", "lattice_angstrom": [[5.7946, 0.0000, 0.0000], [-2.8973, 5.0182, 0.0000], [0.0000, 0.0000, 7.1563]], "species": ["Mo", "Mo", "O", "O", "O", "O", "O", "O", "O", "O", "Mg", "K", "Sc"], "frac_coords": [[0.6667, 0.3333, 0.7096], [0.3333, 0.6667, 0.3068], [0.3431, 0.1715, 0.8123], [0.1620, 0.3240, 0.1729], [0.6667, 0.3333, 0.4504], [0.6760, 0.8380, 0.1729], [0.8285, 0.1715, 0.8123], [0.1620, 0.8380, 0.1729], [0.3333, 0.6667, 0.5583], [0.8285, 0.6569, 0.8123], [0.6667, 0.3333, 0.1776], [0.0000, 0.0000, 0.4971], [0.0000, 0.0000, 0.0142]], "relative_energy_ev_per_atom": 0.000, "ef_ev_per_atom": -2.2500, "dft_energy_ev_per_atom": -6.744}

=====

Entry 2:
{"formula": "Li4MnV3P8O28", "functional": "GGA+U", "state": "relaxed", "lattice_angstrom": [[-2.9524, 2.4430, 3.0171], [-5.6652, -6.0069, -0.7612], [5.6529, -6.4726, 10.2394]], "species": ["P", "P", "P", "P", "P", "P", "P", "P", "V", "V", "V", "O", "O", "O", "O", "O", "O", "O", "O", "O", "O", "O", "O", "O", "O", "O", "O", "O", "O", "O", "O", "O", "O", "O", "O", "O", "O", "O", "O", "Li", "Li", "Li", "Li", "Mn"], "frac_coords": [[0.6405, 0.8228, 0.2393], [0.1711, 0.2167, 0.9568], [0.6696, 0.2158, 0.4557], [0.1390, 0.8196, 0.7383], [0.8611, 0.3199, 0.2589], [0.8304, 0.7159, 0.0432], [0.3607, 0.3190, 0.7611], [0.3320, 0.7126, 0.5433], [0.6485, 0.0001, 0.8643], [0.8510, 0.4995, 0.6364], [0.3510, 0.5013, 0.1359], [0.0941, 0.3216, 0.6977], [0.4482, 0.9646, 0.2594], [0.6878, 0.3045, 0.5562], [0.1239, 0.6753, 0.0743], [0.7215, 0.8481, 0.1240], [0.1434, 0.5631, 0.5435], [0.5043, 0.1559, 0.7528], [0.5549, 0.4608, 0.7414], [0.6246, 0.6734, 0.5772], [0.3696, 0.1755, 0.4277], [0.6424, 0.5665, 0.0421], [0.8541, 0.0661, 0.4584], [0.1912, 0.3046, 0.0569], [0.8099, 0.8026, 0.9432], [0.7817, 0.3444, 0.3754], [0.9946, 0.6564, 0.7468], [0.5908, 0.3258, 0.1974], [0.9458, 0.9611, 0.7588], [0.9069, 0.8244, 0.3042], [0.0013, 0.1582, 0.2473], [0.3173, 0.7955, 0.4428], [0.3558, 0.0670, 0.9576], [0.0534, 0.4641, 0.2413], [0.8764, 0.1760, 0.9254], [0.2824, 0.3472, 0.8765], [0.2203, 0.8459, 0.6234], [0.4964, 0.6591, 0.2469], [0.4049, 0.8223, 0.8024], [0.3373, 0.1387, 0.1632], [0.1608, 0.6397, 0.3373], [0.6600, 0.6389, 0.8374], [0.8389, 0.1375, 0.6622], [0.1501, 0.0007, 0.3658]], "relative_energy_ev_per_atom": 0.000, "ef_ev_per_atom": -2.6921, "dft_energy_ev_per_atom": -7.235}

=====

Entry 3:
____________
TEXT PDF96.92 Termination of funding.
TEXT PDF96.100 Scope.
TEXT PDF96.101 Review of a State decision to discontinue funding of a community health center.
TEXT PDF96.102 Carryover of unobligated funds.
TEXT PDF96.110 Scope.
TEXT PDF96.111 Continuation of pre-existing regulations.
TEXT PDF96.112 Community services block grant.
TEXT PDF96.120 Scope.
TEXT PDF96.121 Definitions.
TEXT PDF96.122 Application content and procedures.
TEXT PDF96.123 Assurances.
TEXT PDF96.124 Certain allocations.
TEXT PDF96.125 Primary prevention.
TEXT PDF96.126 Capacity of treatment for intravenous substance abusers.
TEXT PDF96.127 Requirements regarding tuberculosis.
TEXT PDF96.128 Requirements regarding human immunodeficiency virus.
TEXT PDF96.129 Revolving funds for establishment of homes in which recovering substance abusers may reside.
TEXT PDF96.130 State law regarding sale of tobacco products to individuals under age of 18.
TEXT PDF96.131 Treatment services for pregnant women.
TEXT PDF96.132 Additional agreements.
TEXT PDF96.133 Submission to Secretary of Statewide assessment of needs.
TEXT PDF96.134 Maintenance of effort regarding State expenditures.
TEXT PDF96.135 Restrictions on expenditure of grant.
TEXT PDF96.136 Independent peer review.
TEXT PDF96.137 Payment schedule.

